Britain's kaleidoscope of blue-collar wages keeps turning

January 14, 1982

The men who drive Britain's trains earn 132.90 pounds (about $247) a week - 32.40 pounds below miners at the coal face, 31.30 pounds below men who set type for newspapers, 30 pounds less than steel construction workers.

Meanwhile, assistant stationmaster Frank Bridger in my local village earns only 100 pounds a week.

Those wage differentials sketch one of the basic reasons Britain's coldest winter for decades has also brought sharp industrial strife.

Wages in this country are a shifting kaleidoscope. The pattern of blue- and white-collar salaries has altered since 1976. They have shot up so fast that Britain has priced itself out of many an export market even while productivity has barely risen at all.

Now Britain's worst crisis of train workers in 27 years has spotlighted blue-collar wage differences, and disputes between unions, as well as between union and management. All are slowing Britain's climb out of economic slump.

Contemplating empty tracks between Guildford, in Surrey, and Waterloo Station on London's south bank, the short, soft-spoken Mr. Bridger shook his head, ''No, I don't support the national strike,'' he said. The strike is called for Jan. 13 and 14, with another two-day stoppage promised for Jan. 20 and 21.

''It's the drivers who are striking. My own union (the National Union of Railwaymen, or NUR) has already settled. So have the white-collar union people in the railway,'' Mr. Bridger said.

''The drivers already get 133 pounds a week. If I got that I wouldn't want anything more. In fact, I couldn't earn that much if I worked seven days a week.''

The NUR and the white-collar union settled for 8 percent more in salary last August, plus another 3 percent in return for working flexible hours, from 7 to 9 hours a day, in a 39-hour week.

The 20,000 drivers have the 8 percent, but won't shift from their traditional 8 hours a day of work. They demand the extra 3 percent - but British Rail says flexible hours must come first. Fixed 8-hour days, it says, mean drivers actually drive as few as 4 hours a day. At this writing the deadlock was unresolved.

Hidden behind the drivers' militancy is a sense of grievance, not only at nationalized British Rail but at other blue-collar workers whose wages have shot up faster than theirs since 1976.

In that year, drivers earned only about 6 pounds a week less than miners at the coal face. Today they earn 32.40 pounds less.

[Here the text breaks off for records of molecules]
'''
Here is a single C2H4NOP molecule in a non-equilibrium geometry from the Open Molecules 2025 dataset. Energies are from ωB97M-V with the def2-TZVPD basis set.

Atoms and positions in Å:
N (-2.624, -0.582, 0.136)
C (-1.797, 0.130, -0.225)
C (-0.463, 0.640, -0.441)
P (0.687, -0.954, -0.358)
O (2.098, -0.266, 0.097)
H (-0.361, 1.066, -1.517)
H (-0.049, 1.342, 0.394)
H (0.287, -1.229, 0.859)
H (2.222, -0.148, 1.055)

Gap between HOMO and LUMO   10.2 eV
SMILES string   N#CCPO
M   89.03 g/mol
Max |F|   0.05688 hartree/bohr



Here is a single C2H4NP molecule in a non-equilibrium geometry from the Open Molecules 2025 dataset. Energies are from ωB97M-V with the def2-TZVPD basis set.

Atoms and positions in Å:
C (1.095, -0.153, 0.354)
C (-0.392, -0.366, 0.082)
P (-1.916, 0.506, 0.089)
N (-1.227, -1.145, -0.431)
H (1.402, -0.830, 1.091)
H (1.185, 0.917, 0.509)
H (1.700, -0.453, -0.438)
H (-1.846, 1.524, -1.256)

Gap between HOMO and LUMO   10.3 eV
SMILES string   CC1=[PH]=N1
M   73.03 g/mol
Max |F|   0.05200 hartree/bohr



Here is a single C2H4NP molecule in a non-equilibrium geometry from the Open Molecules 2025 dataset. Energies are from ωB97M-V with the def2-TZVPD basis set.

Atoms and positions in Å:
P (0.617, -0.327, 1.308)
C (-0.493, 0.047, -0.066)
C (-0.223, -0.330, -1.381)
N (-1.010, -1.190, -0.967)
H (-0.017, 0.573, 2.152)
H (1.617, 0.444, 0.925)
H (-1.115, 0.976, 0.103)
H (0.625, -0.194, -2.074)

Gap between HOMO and LUMO   10.4 eV
SMILES string   P[C@H]1C=N1
M   73.03 g/mol
Max |F|   0.06306 hartree/bohr



Number 1: total energy -14964.2294 eV. Number 2: total energy -12915.1819 eV. Number 3: total energy -12914.2983 eV.

~~~~~

Below is a 2-piece molecular cluster, C6H12N2O2 overall, with properties calculated with the ωB97M-V functional and the def2-TZVPD basis.

Its LUMO energy is 6.6 eV. For the frontier orbital gap, the calculation gives 5.8 eV. Its net charge is -2.

Last column: Löwdin charge in e.
Atoms and positions in Å:
C (-0.5568, 2.2352, 0.8179)  -0.482
C (0.5679, -2.1861, -0.8990)  -0.479
C (-1.7667, 1.3854, 0.5594)  -0.110
C (-0.7992, 3.4957, 1.6431)  -0.109
C (1.7014, -1.2730, -1.2611)  -0.110
C (0.8522, -3.6819, -0.9661)  -0.107
N (0.5779, 1.8643, 0.3483)  -0.156
N (-0.5556, -1.6612, -0.5636)  -0.157
O (1.6452, 2.6267, 0.5667)  -0.399
O (-1.5784, -2.4570, -0.2802)  -0.383
H (-1.4648, 0.4518, 0.0909)  0.029
H (-2.4762, 1.9075, -0.0993)  0.046
H (-2.3015, 1.1601, 1.4913)  0.050
H (-1.6053, 4.1188, 1.2268)  0.043
H (0.1320, 4.0627, 1.6454)  0.027
H (-1.0648, 3.2479, 2.6791)  0.045
H (1.4203, -0.2513, -1.0193)  0.041
H (1.9334, -1.3473, -2.3340)  0.045
H (2.6184, -1.5278, -0.7173)  0.049
H (1.1963, -4.0055, -1.9607)  0.043
H (-0.0902, -4.1810, -0.7334)  0.029
H (1.6145, -3.9843, -0.2350)  0.046
'''

Drivers say one-quarter of their pay comes from extensive overtime weekends and ''unsocial'' hours (12 to 5 a.m.).

Overtime is only about one-eight of the earnings of other workers who earn more - print compositors, for instance.

On such resentments and rivalries do strikes such as the latest national railroad standstill hang.

Figures just released by the Department of Employment also indicate just how fast blue-collar wages and inflation have shot up since 1976. Productivity, however, has lagged badly.

Calculated molecules, kept here for reference:
DFT (ωB97M-V/def2-TZVPD) results for an isolated molecule of C5H12N2O2S.

XYZ file:
```
22
Properties=species:S:1:pos:R:3:nbo_charge:R:1
C -0.52 2.31 0.07 -0.432
N -0.18 1.29 1.10 -0.439
C -1.14 0.26 1.34 -0.227
C -1.78 -0.51 0.07 -0.263
N -0.98 -1.59 -0.52 -0.867
S 0.47 -0.99 -0.94 2.130
C 1.51 -2.35 -1.52 -0.849
O 0.40 0.09 -1.95 -0.964
O 1.43 -0.44 0.23 -0.839
C 1.22 0.86 1.22 0.127
H 0.04 1.98 -0.86 0.232
H -1.65 2.36 -0.06 0.209
H -0.14 3.20 0.39 0.192
H -2.00 0.56 1.85 0.196
H -0.50 -0.39 2.00 0.195
H -2.70 -0.95 0.37 0.209
H -1.96 0.36 -0.64 0.182
H 0.84 -3.17 -1.62 0.259
H 1.91 -2.26 -2.59 0.262
H 2.48 -2.54 -1.05 0.266
H 2.02 1.55 0.94 0.222
H 1.24 0.36 2.16 0.198
```

Output
SMILES = CN1CCN=[S@@](C)(=O)OC1
total charge = 0
highest occupied orbital energy = -8.280 eV
energy relative to the best compared isomer or geometry (same formula, charge and spin) = 349.1 kJ/mol
Kohn-Sham gap = 0.3314 hartree

DFT (ωB97M-V/def2-TZVPD) results for a cluster of 11 separate species, C81H175N9O11 in total.

XYZ file:
```
276
Properties=species:S:1:pos:R:3:mulliken_charge:R:1
C 0.49 7.04 1.29 -2.073
C 1.57 5.98 1.05 2.299
C 1.72 5.12 2.33 -1.372
C 1.14 5.12 -0.19 -0.966
C 2.31 4.31 -0.80 2.453
C 3.45 5.24 -1.14 -1.172
C 3.94 6.07 0.05 1.423
C 4.82 5.18 0.95 -1.341
C 4.85 7.20 -0.51 -2.041
N 2.83 6.66 0.74 0.550
O 3.32 7.58 1.70 -0.492
H -0.53 6.67 1.19 0.024
H 0.61 7.44 2.30 0.467
H 0.67 7.86 0.59 0.478
H 0.77 4.97 2.86 0.371
H 2.15 4.13 2.14 -0.223
H 2.39 5.63 3.03 0.407
H 0.40 4.39 0.17 -0.219
H 0.63 5.76 -0.92 0.505
H 2.59 3.56 -0.04 -1.007
H 2.03 3.76 -1.71 -0.579
H 3.12 5.93 -1.95 0.456
H 4.33 4.71 -1.55 -0.239
H 4.29 4.32 1.34 -0.280
H 5.14 5.78 1.81 0.576
H 5.71 4.85 0.42 0.508
H 5.55 6.71 -1.20 0.380
H 5.40 7.68 0.29 0.457
H 4.32 7.96 -1.10 0.410
H 3.11 8.43 1.28 0.336
C 2.49 -5.16 0.85 -1.599
C 1.30 -4.66 0.00 1.798
C 0.88 -3.26 0.42 -0.428
C 1.58 -4.52 -1.56 -0.211
C 1.73 -5.81 -2.32 -0.999
C 0.45 -6.59 -2.13 -1.170
C 0.02 -6.83 -0.66 1.603
C -1.50 -7.10 -0.69 -1.793
C 0.74 -8.05 -0.14 -1.909
N 0.18 -5.61 0.17 0.979
O -0.12 -5.78 1.53 -0.336
H 2.58 -6.24 0.73 0.297
H 3.42 -4.71 0.50 0.256
H 2.37 -4.90 1.91 0.377
H 1.64 -2.54 0.08 -0.586
H -0.05 -2.97 -0.08 -0.423
H 0.77 -3.15 1.50 0.294
H 0.76 -3.95 -2.03 -0.139
H 2.49 -3.92 -1.67 0.163
H 1.96 -5.62 -3.38 0.449
H 2.57 -6.38 -1.91 0.335
H 0.58 -7.58 -2.57 0.508
H -0.38 -6.12 -2.67 0.184
H -2.02 -6.15 -0.87 0.252
H -1.87 -7.47 0.27 0.371
H -1.81 -7.80 -1.48 0.376
H 0.49 -8.89 -0.79 0.486
H 0.35 -8.35 0.85 0.373
H 1.82 -7.99 -0.09 0.346
H 0.56 -6.36 1.94 0.296
C -3.25 -3.56 4.47 -1.929
C -4.23 -3.99 5.61 1.847
C -5.64 -3.59 5.12 -2.202
C -4.23 -5.55 5.69 -1.203
C -3.06 -6.16 6.47 -0.518
C -2.92 -5.51 7.85 -1.289
C -2.89 -3.95 7.89 1.597
C -3.35 -3.53 9.33 -1.938
C -1.44 -3.38 7.74 -1.595
N -3.96 -3.43 6.98 0.281
O -3.97 -2.02 6.97 -0.505
H -2.25 -3.89 4.73 0.177
H -3.49 -4.01 3.50 0.640
H -3.26 -2.47 4.37 0.532
H -6.44 -4.02 5.73 0.475
H -5.73 -2.50 5.13 0.443
H -5.77 -3.93 4.09 0.356

Coal face workers have more than doubled their income (from 80.70 to 165.30 pounds a week).

Misplaced quantum chemistry results:
ORCA calculation (ωB97M-V/def2-TZVPD) on C24H42NOP3Sn as an isolated structure at a distorted geometry.

Last column: Löwdin charge in e.
Cartesian coordinates (Å):
Sn (-0.373, 0.690, -0.513)  0.951
P (-1.896, -1.394, -0.112)  0.743
P (1.433, -0.913, 1.747)  0.779
P (1.156, -1.264, -1.911)  0.709
H (-1.135, 5.853, -5.377)  0.134
C (-1.152, 4.945, -5.984)  0.224
C (-2.165, 4.076, -5.915)  0.189
H (-3.009, 4.214, -5.234)  0.132
C (-3.435, -0.814, 0.667)  -0.226
C (-1.337, -2.763, 0.966)  -0.203
C (-2.471, -2.163, -1.662)  -0.208
C (2.971, 0.096, 1.831)  -0.266
C (0.749, -0.537, 3.419)  -0.264
C (2.108, -2.591, 2.114)  -0.236
C (0.631, -1.118, -3.650)  -0.247
C (1.244, -3.060, -1.621)  -0.215
C (2.893, -0.713, -1.932)  -0.238
H (-0.332, 4.815, -6.703)  0.136
H (-2.193, 3.222, -6.601)  0.119
H (-3.734, 0.146, 0.227)  0.065
H (-3.307, -0.687, 1.749)  0.051
H (-4.214, -1.563, 0.475)  0.079
H (-1.162, -2.411, 1.990)  0.052
H (-0.421, -3.241, 0.602)  0.026
H (-2.141, -3.511, 0.983)  0.097
H (-2.511, -1.421, -2.471)  0.048
H (-3.489, -2.531, -1.472)  0.081
H (-1.834, -3.001, -1.976)  0.063
H (3.600, -0.281, 2.648)  0.071
H (2.716, 1.147, 2.015)  0.051
H (3.519, 0.040, 0.883)  0.028
H (1.152, -1.199, 4.197)  0.072
H (-0.340, -0.646, 3.410)  0.020
H (0.988, 0.504, 3.657)  0.044
H (3.175, -2.510, 2.341)  0.067
H (1.974, -3.266, 1.263)  0.015
H (1.586, -3.021, 2.976)  0.062
H (1.195, -1.816, -4.287)  0.082
H (0.800, -0.096, -4.015)  0.014
H (-0.441, -1.342, -3.743)  0.047
H (1.441, -3.538, -2.591)  0.080
H (0.298, -3.448, -1.220)  0.019
H (2.067, -3.283, -0.929)  0.055
H (3.334, -1.015, -2.893)  0.076
H (3.455, -1.176, -1.107)  0.056
H (2.938, 0.380, -1.835)  0.039
C (-1.039, 2.216, -3.039)  -0.351
C (0.111, 3.052, -3.021)  0.005
C (1.031, 2.914, -4.048)  -0.013
C (0.758, 2.049, -5.113)  -0.008
C (-0.526, 1.490, -5.251)  -0.065
C (-1.478, 1.679, -4.269)  0.005
O (-1.615, 1.806, -1.909)  -0.175
H (1.018, 1.744, -0.908)  0.027
H (0.283, 3.706, -2.167)  0.142
H (1.976, 3.464, -4.027)  0.149
H (1.517, 1.849, -5.880)  0.156
H (-0.786, 0.919, -6.145)  0.152
H (-2.520, 1.369, -4.379)  0.157
N (-1.375, 1.551, 1.517)  0.096
C (-1.614, 1.707, 2.658)  -0.092
C (-1.832, 1.861, 4.054)  -0.239
C (-2.859, 1.150, 4.710)  -0.013
C (-3.001, 1.220, 6.101)  -0.021
C (-2.112, 1.994, 6.857)  -0.002
C (-1.084, 2.700, 6.220)  -0.019
C (-0.953, 2.642, 4.828)  -0.014
H (-3.535, 0.532, 4.121)  0.114
H (-3.788, 0.642, 6.597)  0.133
H (-2.200, 2.021, 7.948)  0.138
H (-0.373, 3.291, 6.810)  0.134
H (-0.146, 3.181, 4.330)  0.127

Atomic forces in eV per Å
Sn 1.478 -1.391 1.429
P -1.338 -0.087 0.526
P 0.496 0.726 1.008
P 0.105 0.591 -0.304
H 0.007 -0.137 -0.114
C 3.066 2.939 -0.417
C -3.056 -2.874 -0.124
H 0.189 -0.027 -0.125
C 0.039 0.233 0.022
C 0.601 0.314 0.015
C 0.289 0.193 -0.339
C -0.123 0.049 -0.325
C -0.390 0.210 -0.188
C -0.293 -0.420 -0.708
C -0.064 -0.188 -0.290
C -0.210 -0.087 0.053
C -0.045 -0.001 -0.019
H -0.241 0.011 0.306
H -0.235 0.406 0.149
H -0.053 -0.224 0.118

They now get the top blue-collar wages, even as the National Union of Mineworkers is voting on its own national strike to get more pay raises of 12 to 20 percent. They are thought likely to get significant concessions.

Next come typesetters, steel construction workers, men who operate printing presses, dockers, gas fitters, electricity workers and electricians on building sites.

Train drivers rank 19th on the list, excluding last August's raise. In 1976 they were 6th. The August raise pushes them up to 7th place.

Other blue-collar workers also feel aggrieved. Some shipbuilders and engineers have sunk 12 places in the salary scale (platers, shipwrights) and others 8 (skilled welders.) Toolmakers, diecasters, and testers have dropped out of the first 25 altogether.

Yet another sense of grievance comes in when blue-collar workers as a whole compare their salaries with white-collar professions.

Medical practitioners head the list of white-collar jobs, the Employment Department figures show, with just under 300 pounds a week. University academics follow with 257 pounds a week, and company secretaries with 214 pounds a week. Journalists in Britain average 194 pounds a week.

Women still do poorly compared to men. The national average woman's wage of 91.40 pounds compared to 140 pounds for men.